The Doctoral Space revisited

Steering committee of the Thinkers' Programme Doctoral Space
The doctorate is a centuries-old institution, born in the 12th century in Paris primarily as a qualification to “profess”. It was re-shaped in the early 19th century in Germany as a research degree, the prerequisite for an academic career.
As demonstrated by recent reports from the European Science Foundation (2015), OECD (Auriol et al. 2013), Science Europe (2013), the Vlaamse Raad voor Wetenchap en Innovatie (VRWI advice 215, 2015 and report 27, 2016), the Royal Academy of Sciences of The Netherlands (2016) and ECOOM (Stassen et al. 2014), the PhD is increasingly regarded as an instrument of innovative career development – far beyond the academic realm.
Conscious of the importance of this development, the Royal Flemish Academy of Sciences and Arts of Belgium initiated the 2016 Thinker’s Programme “The Doctoral Space revisited”.
The perspective of the present analysis is broad: we like to define the “Doctoral Space” to comprise not only the PhD thesis period, but also its lead phase in the research master, as well as the early postdoctoral phase. The choice of the term space in this context is not fortuitous. It emphasizes the importance given to the provision of space to young researchers: space to allow them to develop their ideas, to fail and to rebound - pathways forging perseverance and resilience, pathways leading to autonomy and entrepreneurship.
Particular attention is needed to the tracking of the move of PhD holders into professional life, a process currently taking shape in the early postdoctoral years. For such analysis, the perspective and information from young researchers is of paramount importance: this Thinker’s programme consequently closely collaborates with Flanders’ Young Academy (Jonge Academie).
We trust that Flanders’ graduation policy is functioning well: doctoral schools in general provide a number of learning opportunities and Flanders’ innovation capacity, breeding in particular within strategic research centres closely linked to universities, is scoring high.
Yet, a number of key questions remain
- Are we optimally preparing our top young researchers to leadership and entrepreneurship in science and to the generation of employment in innovation, and are we doing so in a sustainable way?
- Shouldn’t all our PhD’s be regarded as Starters, regardless of their research field and employment horizon, and have we truly shaped the incubation space, crucial for their success?
- Is the Bologna process – sparked in the former century – as a preparatory phase fully meeting the expectations raised, or does it require some fine tuning?
- Are we fully offering to young researchers within the Doctoral Space the right skills at the right moment, in the right way?
- Do we fully control the transition between the incubation process and the production phase, and are we capable of verifying to what extent the products of our doctoral training eventually meet the expectations of Society, quantitatively and qualitatively?
A challenge for Flanders and Europe
As clearly observed by both ESF and OECD studies, tracking postdoctoral careers in Europe remains in many aspects a challenging venture. Flanders however seems to turn out an interesting testing ground for grasping the quintessence of the problem and the scale of the challenge. While Flanders is targeted as prime beneficiary of this ongoing strategic thinking, the findings and the impact of this Thinker’s programme may reach far beyond its borders, and be of relevance for Europe.
## Materials data that have nothing to do with the piece
........
A relaxed PbWO2 crystal. Source: Alexandria, functional PBE with a Hubbard U.

Lattice parameters (Å, degrees): 7.2433 7.2433 7.2433 27.03 27.03 27.03
Site moments in Bohr magnetons follow the coordinates.
Sites, in units of the cell vectors:
Pb 0.0000 0.0000 0.0000  -0.01
O 0.1210 0.1210 0.1210  0.00
O 0.8790 0.8790 0.8790  0.00
W 0.5000 0.5000 0.5000  2.55

Properties
* total magnetic moment: 2.716 μB per formula unit
........
## The piece goes on
Early observations from fact finding actions in the 5 Flanders universities suggest that notwithstanding an apparently satisfactory flow of PhD’s into the market, the so-called “postdoctoral cloud” gravitating around the Flemish universities has nearly doubled over the past ten years, exceeding in its present dimension (rated from various sources at some 3750) the total academic staff of the 5 Flemish universities (some 2800 in 2014): one may suspect that a virtual university and strategic research center has taken shape in Flanders!
A linear extrapolation from this observation in a small, yet possibly representative data set of 5 Flanders universities to the population of 850 European universities producing PhD’s might lead us to speculate that Europe holds a potential “Starters Cloud” somewhere between half a million and a million - still largely under the radar, as confirmed by OECD and ESF.
The key question arising from this preliminary analysis is to what extent is Flanders – and by extension Europe – prepared to fully capture the vast pool of potential energy represented by this generation, which not only embodies a considerable societal investment, but is nowadays also truly empowered in an unprecedented and unrivalled way by the Digital Revolution: to what extent will we be successful in transforming this potential energy into economic momentum and employment for Flanders and Europe?
From April to June 2016, Prof. Nazaré engaged in an extensive Fact Finding action, meeting rectors of Flemish universities and PhD researchers, directors of Doctoral Schools and members of the postdoc community, visiting Strategic Research Centers and targeted Industry. End of September, several Round Tables offered a platform to discuss her findings with large employers, institutional stakeholders and representatives of SME’s.
The concluding Conference was hosted at the Palace of the Academies in Brussels November 7th 2016. This conference offered, beyond the important reporting phase of this reflection exercise and inspiring statements from governance at EU and Regional level and from key stakeholders of the public/private sectors, the stage to the young European investigators themselves, who start to unite to take their future in their own hand. As noticed from previous events, such conference as a rule also fuels action plans.

Prof. Dr. Maria Helena Vaz de Carvalho Nazaré is former rector of the University of Aveiro, Portugal, and former President of the European University Association (2013-2015). She is presently Chair for the Higher Education Council in Portugal, and is also currently engaged in studies for OECD.
Various mandates in boards of industrial and governance organizations have contributed to her broad perspective, crossing sectorial boundaries.